Robert writes about the progressive degrees of adultery. While initial experiences of pornography may come to us unbidden, there are forces that provoke us to justify and identify with it to a greater and greater extent unless we guard ourselves against them. He writes that pornography seeks to destroy the most precious gifts the Lord has given us, which are both the love in marriage and the care of young children. -Editor
“Then I saw that she was defiled, and that they took both one way; and that she increased her whoredoms ; for when she saw men portrayed upon the wall, the images of the Chaldeans portrayed with vermilion, girded with girdles upon their loins, draped in dyed attire upon their heads, all of them princes of appearance, after the manner of the sons of Babylon of Chaldea, the land of their nativity; and as soon as she saw them with her eyes, she doted upon them, and sent messengers unto them into Chaldea. And the Babylonians came to her in the bed of love and they defiled her with their whoredoms.” (Ezekiel 23:13-16)
This passage portrays a woman being led into whoredom through doting on images of men portrayed upon a wall. This text is over two thousand five hundred years old. The evil of pornography has been around for a long time. There have been times in the past when lasciviousness acted secretly due to fear for reputation or fear of the law (Spiritual Diary 386). Sadly today we live in a different time when such imagery is relentlessly and openly beamed into our homes, threatening the ideals of our children, and even of marriage itself. It is important that we recognize the origin of this evil – pornography - and how it operates, and how we can combat it. It represents an open abuse of some of the Lord’s most precious gifts to mankind.
As one of those gifts, the Lord has provided the wonder of human imagination. Imagination allows us in our mind’s eye to draw together sense experiences into living mental pictures. Human inventiveness depends upon the ability to picture things in new and creative ways. Imagination supports our hopes and allows the Lord to lift our understanding to visualize heavenly life and compare spiritual truths, and so to nurture and support freedom itself.
But like all such Divine gifts, the imagination can be abused: evil people abuse imagination to create pictures that inspire lust. They encourage the viewer to fantasize and visualize the delights that the actual evil would bring. This is what happened in the passage from Ezekiel. Doting on the pictures on the wall led to actual whoredom in the bed. We cannot always help the images that thrust themselves into our view, but we can determine whether we welcome them or not. We can make up our minds and set our hearts that they will not lead us any further; they will not lead us into greater evil.
Because when there is nothing internal to lead and keep us in the way of truth, we are then carried wherever cupidity and fantasy lead (Arcana Coelestia 1212). Many of the pornographic images beamed into our lives are made to appear beautiful and harmless. Harmless because they often have become so commonplace! But appearing harmless, as many young people will defensively tell you that they are, can be the beginning of their deception. They attract our attention or we would not feel any need to defend them. What is it that makes us turn our heads to focus on them rather than to turn away? What makes us smile when the same suggestive image appears again? If we are not careful unwittingly we can gradually be led to dote upon such images (Apocalypse Revealed 926:2). The path from the commonplace to an accepted habit is not easily distinguished. And those in the grasp of evil will do all in their power to cloud the distinction.
Not all definitions need be indistinct. There are degrees of adultery, which suggest steps in the way pornography, or any other evil, can take hold of us. The first degree is adultery of ignorance (Conjugial Love 487). We may fall into an evil when we are young and don’t know any better, or in circumstances where we are not thinking straight. In such a case the issue is not clearly defined and can be compared to initial and unintended exposure to pornography. How responsible we are depends on how much we know and understand it. As parents, we have a responsibility to instruct and establish a moral climate that makes falling into the evil from ignorance as unlikely as possible. The easiest time to resist an evil is to say, “No” when it first appears (Heaven and Hell 533). It is not easy, but removing it from sight should be the first line of defense against pornography.
A person is led into the second degree of adultery through being carried away by lust. The desire is so strong as to become irresistible to those who are not prepared or in a situation to resist. It can be compared to those who are so enticed by looking at pictures that they do not realize that they are being caught up in them and losing control. Notice such evil becomes part of a person according to whether AFTERWARDS the person, in their intellect, justifies it or not (Conjugial Love 488–489). It is a question of consent. The shift is subtle, but in today’s world how often do we hear, “What harm does it do? They’re only pictures.”
== Someone pasted data records at this point ==
┌──
Record 1
Below is an optimized crystal structure of Li3Ti6Zn3O16, with properties calculated at the PBE level.

Calculated values
The calculation puts the corrected total energy (MP2020 scheme) at -7.8293 eV/atom. The value obtained for the formation energy is -2.97 eV per atom.

Lattice parameters (Å, degrees): 8.4704 8.4718 8.4741 89.93 90.00 90.00
Positions (direct):
Li (0.6250, 0.1253, 0.6245)
Li (0.1250, 0.8747, 0.3755)
Li (0.5021, 0.7480, 0.4982)
Li (0.3753, 0.6252, 0.8750)
Li (0.8753, 0.3748, 0.1250)
Li (0.0021, 0.2520, 0.5018)
Ti (0.8696, 0.1308, 0.8722)
Ti (0.1189, 0.1261, 0.1356)
Ti (0.3732, 0.1151, 0.3832)
Ti (0.8732, 0.8849, 0.6168)
Ti (0.6189, 0.8739, 0.8644)
Ti (0.3696, 0.8692, 0.1278)
Ti (0.1337, 0.6282, 0.6235)
Ti (0.8778, 0.6204, 0.3705)
Ti (0.6248, 0.6197, 0.1228)
Ti (0.1248, 0.3803, 0.8772)
Ti (0.3778, 0.3796, 0.6295)
Ti (0.6337, 0.3718, 0.3765)
Zn (0.4991, 0.2491, 0.0014)
Zn (0.2479, 0.0006, 0.7507)
Zn (0.7479, 0.9994, 0.2493)
Zn (0.9991, 0.7509, 0.9986)
Zn (0.7507, 0.5022, 0.7478)
Zn (0.2507, 0.4978, 0.2522)
O (0.6090, 0.1432, 0.3724)
O (0.3728, 0.1389, 0.6072)
O (0.1129, 0.1368, 0.8871)
O (0.1427, 0.1267, 0.3556)
O (0.8926, 0.1220, 0.1101)
O (0.3628, 0.1135, 0.1363)
O (0.6423, 0.1105, 0.8781)
O (0.8770, 0.1051, 0.6423)
O (0.3770, 0.8949, 0.3577)
O (0.1423, 0.8895, 0.1219)
O (0.8628, 0.8865, 0.8637)
O (0.3926, 0.8780, 0.8899)
O (0.6427, 0.8733, 0.6444)
O (0.6129, 0.8632, 0.1129)
O (0.8728, 0.8611, 0.3928)
O (0.1090, 0.8568, 0.6276)
O (0.3885, 0.6419, 0.1276)
O (0.6275, 0.6398, 0.8928)
O (0.8876, 0.6379, 0.6125)
O (0.8612, 0.6274, 0.1422)
O (0.1076, 0.6236, 0.3891)
O (0.6383, 0.6109, 0.3612)
O (0.3559, 0.6081, 0.6237)
O (0.1234, 0.6080, 0.8616)
O (0.6234, 0.3920, 0.1384)
O (0.8559, 0.3919, 0.3763)
O (0.1383, 0.3891, 0.6388)
O (0.6076, 0.3764, 0.6109)
O (0.3612, 0.3726, 0.8578)
O (0.3876, 0.3621, 0.3876)
O (0.1275, 0.3602, 0.1072)
O (0.8885, 0.3581, 0.8724)

---

Record 2
Below is an optimized crystal structure of Sr3U6O28, with properties calculated at the PBE level.

Calculated values
The value obtained for the formation energy is -2.44 eV per atom.

Lattice parameters (Å, degrees): 6.9261 9.7817 9.8069 90.47 110.49 110.53
Positions (direct):
Sr (0.9690, 0.9122, 0.0537)
Sr (0.0226, 0.4583, 0.6009)
Sr (0.3340, 0.2682, 0.4064)
U (0.3058, 0.8561, 0.4818)
U (0.3068, 0.3415, 0.9965)
U (0.6609, 0.1707, 0.8071)
U (0.6610, 0.6669, 0.3117)
U (0.0160, 0.0343, 0.6608)
U (0.0154, 0.5197, 0.1747)
O (0.2659, 0.9859, 0.3370)
O (0.2896, 0.4810, 0.8665)
O (0.6717, 0.2991, 0.6589)
O (0.6635, 0.7838, 0.1608)
O (0.0625, 0.1975, 0.5511)
O (0.0162, 0.6621, 0.0469)
O (0.3252, 0.0290, 0.6412)
O (0.3252, 0.4979, 0.1723)
O (0.4130, 0.7266, 0.3613)
O (0.4137, 0.2207, 0.8673)
O (0.9074, 0.8548, 0.4838)
O (0.9073, 0.3423, 0.9958)
O (0.6599, 0.9892, 0.6024)
O (0.6600, 0.4630, 0.1284)
O (0.9962, 0.6821, 0.3249)
O (0.9969, 0.1872, 0.8204)
O (0.7151, 0.0778, 0.2173)
O (0.4353, 0.4827, 0.6222)
O (0.9205, 0.0970, 0.2334)
O (0.8001, 0.5971, 0.7377)
└──
Such justification is not too far from the third degree of adultery where it is confirmed that it is not sinful (Conjugial Love 490). The more the justification is confirmed, the more the evil becomes a part of the person involved, for by confirming it they take responsibility for it. They saw the issue and could have chosen otherwise. With pornography this could be likened to those who refuse to see it as filthy and actually chose to seek it and invite it into their lives.
The fourth degree of adultery involves not only justification, but also commitment of the will. Adulterers of the third and fourth degree are those who have made themselves adulterers through purposely willing it and confirming it with their understanding. Clearly they are natural; and they gradually become sensual and corporeal, because they immerse both the love of their will, and at the same time their understanding in the unclean things and take delight in them (Conjugial Love 495). It is a sorry path, but when we surrender our wills to evil, we become addicted to it. In the beginning there is a general perception of truth with all. Parents and even young people, if they reflect, recognize how wrong these fantasies are. They know it, particularly when such thoughts recur when they are alone.
“There is a general perception of truth with all. But the love of what is lower casts a man down from this height into a perception from his proprium” (Charity 123).Pornography feeds the proprium and distorts our understanding.
Pornography is an abuse of the Lord’s gifts and an adulteration of the truths of married love. Maintaining a clear picture of the progress of pornography towards greater and greater evil can help us be more aware of its destructive power and our need to fight it.
Robert is a minister, going on 58 years. He has served as Pastor in Denver, Secretary General Church, Principal of B.A. Elementary, ANC Teacher, Dean of the Theological School, Pastor of Ivyland, Visiting Pastor to West Africa, Japan, and Korea, Interim Pastor in Kempton, Visiting Pastor Baltimore and Visiting pastor Central PA. Resting (in peace?) Robert looks forward to seeing his wife again who has been in the other world going on 34 years. They have 24 grandkids and 12 great grandkids.